# Excerpt
=====
(1)
Crystalline Fe4S5 at its relaxed geometry. Source: the Materials Project database, functional PBE.

As for the calculated formation energy: -0.724 eV/atom. The value obtained for the total energy is -6.5072 eV per atom. The calculation puts the total magnetization at 0.004 μB/atom. As for the space group: No. 3.

Cell: 7.856 10.372 7.858 Å, 90.00 90.06 90.00°
Fractional positions:
Fe: 0.096 0.000 0.207
Fe: 0.206 0.999 0.905
Fe: 0.294 0.009 0.599
Fe: 0.402 0.010 0.295
Fe: 0.598 0.010 0.705
Fe: 0.706 0.009 0.401
Fe: 0.794 0.999 0.095
Fe: 0.904 0.000 0.793
S: 0.000 0.120 0.000
S: 0.111 0.881 0.709
S: 0.201 0.126 0.391
S: 0.298 0.882 0.114
S: 0.390 0.125 0.795
S: 0.500 0.888 0.500
S: 0.610 0.125 0.205
S: 0.702 0.882 0.886
S: 0.799 0.126 0.609
S: 0.889 0.881 0.291



(2)
Crystalline KEuF4 at its relaxed geometry. Source: the Materials Project database, functional PBE.

As for the calculated formation energy: -3.609 eV/atom. The value obtained for the total energy is -6.4717 eV per atom. As for the space group: No. 62.

Cell: 6.303 3.716 15.723 Å, 90.00 90.00 90.00°
Fractional positions:
K: 0.224 0.250 0.201
K: 0.276 0.750 0.701
K: 0.724 0.250 0.299
K: 0.776 0.750 0.799
Eu: 0.249 0.750 0.439
Eu: 0.251 0.250 0.939
Eu: 0.749 0.750 0.061
Eu: 0.751 0.250 0.561
F: 0.003 0.250 0.058
F: 0.089 0.250 0.807
F: 0.107 0.250 0.365
F: 0.134 0.250 0.536
F: 0.366 0.750 0.036
F: 0.393 0.750 0.865
F: 0.411 0.750 0.307
F: 0.497 0.750 0.558
F: 0.503 0.250 0.442
F: 0.589 0.250 0.693
F: 0.607 0.250 0.135
F: 0.634 0.250 0.964
F: 0.866 0.750 0.464
F: 0.893 0.750 0.635
F: 0.911 0.750 0.193
F: 0.997 0.750 0.942



(3)
Crystalline LiAgF2 at its relaxed geometry. Source: the Materials Project database, functional PBE.

As for the calculated formation energy: -2.099 eV/atom. The value obtained for the total energy is -4.0106 eV per atom. The calculation puts the total magnetization at 0.000 μB/atom. As for the space group: No. 62.

Cell: 12.325 2.919 5.691 Å, 90.00 90.00 90.00°
Fractional positions:
Li: 0.216 0.250 0.110
Li: 0.284 0.750 0.610
Li: 0.716 0.250 0.390
Li: 0.784 0.750 0.890
Ag: 0.027 0.750 0.708
Ag: 0.473 0.250 0.208
Ag: 0.527 0.750 0.792
Ag: 0.973 0.250 0.292
F: 0.108 0.750 0.095
F: 0.178 0.250 0.567
F: 0.322 0.750 0.067
F: 0.392 0.250 0.595
F: 0.608 0.750 0.405
F: 0.678 0.250 0.933
F: 0.822 0.750 0.433
F: 0.892 0.250 0.905



(4)
Crystalline ZrIn3 at its relaxed geometry. Source: the Materials Project database, functional PBE.

As for the calculated formation energy: -0.211 eV/atom. The value obtained for the total energy is -4.4120 eV per atom. As for the space group: No. 139.

Cell: 4.297 4.297 9.953 Å, 90.00 90.00 90.00°
Fractional positions:
Zr: 0.000 0.000 0.000
Zr: 0.500 0.500 0.500
In: 0.000 0.000 0.500
In: 0.000 0.500 0.250
In: 0.000 0.500 0.750
In: 0.500 0.000 0.250
In: 0.500 0.000 0.750
In: 0.500 0.500 0.000



(5)
Crystalline MgSnBiO4 at its relaxed geometry. Source: the Materials Project database, functional PBE.

As for the calculated formation energy: -1.861 eV/atom. The value obtained for the total energy is -5.6529 eV per atom. The calculation puts the total magnetization at 0.000 μB/atom. As for the space group: No. 8.

Cell: 13.399 4.205 4.424 Å, 90.00 108.46 90.00°
Fractional positions:
Mg: 0.000 0.000 0.000
Mg: 0.500 0.500 0.000
Sn: 0.001 0.500 0.501
Sn: 0.501 0.000 0.501
Bi: 0.282 0.000 0.789
Bi: 0.782 0.500 0.789
O: 0.010 0.500 0.010
O: 0.046 0.000 0.544
O: 0.340 0.000 0.348
O: 0.346 0.500 0.853
O: 0.510 0.000 0.010
O: 0.546 0.500 0.544
O: 0.840 0.500 0.348
O: 0.846 0.000 0.853



(6)
Crystalline La2YC6 at its relaxed geometry. Source: the Materials Project database, functional PBE.

As for the calculated formation energy: -0.164 eV/atom. The value obtained for the total energy is -8.1321 eV per atom. The calculation puts the total magnetization at 0.000 μB/atom. As for the space group: No. 12.

Cell: 4.227 4.227 10.111 Å, 97.51 97.51 53.87°
Fractional positions:
La: 0.165 0.165 0.170
La: 0.835 0.835 0.830
=====

# Job
Please retype the lines earlier on up to the one that holds "0.892 0.250", that line included.

# Done
(1)
Crystalline Fe4S5 at its relaxed geometry. Source: the Materials Project database, functional PBE.

As for the calculated formation energy: -0.724 eV/atom. The value obtained for the total energy is -6.5072 eV per atom. The calculation puts the total magnetization at 0.004 μB/atom. As for the space group: No. 3.

Cell: 7.856 10.372 7.858 Å, 90.00 90.06 90.00°
Fractional positions:
Fe: 0.096 0.000 0.207
Fe: 0.206 0.999 0.905
Fe: 0.294 0.009 0.599
Fe: 0.402 0.010 0.295
Fe: 0.598 0.010 0.705
Fe: 0.706 0.009 0.401
Fe: 0.794 0.999 0.095
Fe: 0.904 0.000 0.793
S: 0.000 0.120 0.000
S: 0.111 0.881 0.709
S: 0.201 0.126 0.391
S: 0.298 0.882 0.114
S: 0.390 0.125 0.795
S: 0.500 0.888 0.500
S: 0.610 0.125 0.205
S: 0.702 0.882 0.886
S: 0.799 0.126 0.609
S: 0.889 0.881 0.291



(2)
Crystalline KEuF4 at its relaxed geometry. Source: the Materials Project database, functional PBE.

As for the calculated formation energy: -3.609 eV/atom. The value obtained for the total energy is -6.4717 eV per atom. As for the space group: No. 62.

Cell: 6.303 3.716 15.723 Å, 90.00 90.00 90.00°
Fractional positions:
K: 0.224 0.250 0.201
K: 0.276 0.750 0.701
K: 0.724 0.250 0.299
K: 0.776 0.750 0.799
Eu: 0.249 0.750 0.439
Eu: 0.251 0.250 0.939
Eu: 0.749 0.750 0.061
Eu: 0.751 0.250 0.561
F: 0.003 0.250 0.058
F: 0.089 0.250 0.807
F: 0.107 0.250 0.365
F: 0.134 0.250 0.536
F: 0.366 0.750 0.036
F: 0.393 0.750 0.865
F: 0.411 0.750 0.307
F: 0.497 0.750 0.558
F: 0.503 0.250 0.442
F: 0.589 0.250 0.693
F: 0.607 0.250 0.135
F: 0.634 0.250 0.964
F: 0.866 0.750 0.464
F: 0.893 0.750 0.635
F: 0.911 0.750 0.193
F: 0.997 0.750 0.942



(3)
Crystalline LiAgF2 at its relaxed geometry. Source: the Materials Project database, functional PBE.

As for the calculated formation energy: -2.099 eV/atom. The value obtained for the total energy is -4.0106 eV per atom. The calculation puts the total magnetization at 0.000 μB/atom. As for the space group: No. 62.

Cell: 12.325 2.919 5.691 Å, 90.00 90.00 90.00°
Fractional positions:
Li: 0.216 0.250 0.110
Li: 0.284 0.750 0.610
Li: 0.716 0.250 0.390
Li: 0.784 0.750 0.890
Ag: 0.027 0.750 0.708
Ag: 0.473 0.250 0.208
Ag: 0.527 0.750 0.792
Ag: 0.973 0.250 0.292
F: 0.108 0.750 0.095
F: 0.178 0.250 0.567
F: 0.322 0.750 0.067
F: 0.392 0.250 0.595
F: 0.608 0.750 0.405
F: 0.678 0.250 0.933
F: 0.822 0.750 0.433
F: 0.892 0.250 0.905